File >
********
19
Properties=species:S:1:pos:R:3 method="wB97M-V/def2-TZVPD" e_homo_ev="-3.2 / -10.0" total_charge=0 multiplicity=2 gap_ev="4.1 / 10.6" lumo_ha="0.0319 / 0.0211" energy_ha=-306.7183 relative_energy_kcal_mol=7.1 s2=0.751
N 1.06733 0.60237 0.50464
C 0.38772 0.38331 -0.81358
C -0.64161 1.46303 -1.06533
C -0.24899 -1.02834 -0.83016
N -0.98044 -1.21804 -2.06928
H 2.02456 0.08282 0.45041
H 0.67347 0.08634 1.30029
H 1.18116 1.60788 0.76818
H 1.19033 0.35755 -1.54882
H -1.43285 1.35733 -0.32297
H -1.10100 1.55696 -2.04658
H -0.15758 2.44834 -0.99339
H 0.61155 -1.68513 -0.62546
H -0.90305 -1.20845 0.02604
H -0.61494 -1.96798 -2.63169
H -1.90240 -1.55598 -1.88270
H 0.39582 0.64870 3.73102
H 0.09145 -0.77159 4.11521
O 0.25533 -0.21907 3.32388

=====

(1)
47
Properties=species:S:1:pos:R:3:forces:R:3 method="wB97M-V/def2-TZVPD" charge=0 mol_weight_g_mol=363.49 smiles=Cc1noc(C)c1CSc1nc2ccccc2n1CCc1ccccc1 e_tot_ha=-1450.53132 orbital_gap_ev=8.562 relative_energy_kj_mol=12.9
C -2.029497 -1.964187 -2.192366 0.05 -0.01 -0.16
C -2.573570 -0.729856 -1.583250 -0.25 0.45 0.42
N -2.829177 0.343002 -2.281080 0.44 -0.58 -0.98
O -3.311897 1.287272 -1.430930 -0.24 0.37 0.77
C -3.355821 0.783871 -0.187827 0.26 -0.89 0.04
C -3.851384 1.642057 0.915701 -0.07 -0.01 -0.25
C -2.899959 -0.510095 -0.210453 -0.26 0.81 -0.27
C -2.740978 -1.445306 0.926007 0.36 0.22 0.26
S -1.529638 -0.807859 2.153183 -0.33 -0.12 0.33
C -0.065547 -1.093033 1.258302 -0.12 -0.24 -0.19
N 0.023592 -1.887182 0.229086 -0.39 -0.04 0.19
C 1.332930 -1.801973 -0.174587 0.50 0.45 0.34
C 1.981189 -2.414539 -1.238874 0.00 0.05 0.08
C 3.317744 -2.127165 -1.420229 0.03 -0.12 -0.18
C 4.002531 -1.260803 -0.568334 0.11 0.06 0.06
C 3.375537 -0.646215 0.497187 0.07 0.07 0.14
C 2.031711 -0.920253 0.680895 0.08 -0.54 -0.53
N 1.108681 -0.493585 1.610938 -0.14 -0.39 -0.06
C 1.277091 0.572261 2.560160 -0.14 0.47 0.20
C 0.741660 1.907028 1.997586 0.15 -0.15 -0.03
C 1.176878 2.058141 0.566439 -0.08 0.21 0.03
C 2.446168 2.521028 0.247910 -0.08 0.06 0.02
C 2.875594 2.539529 -1.066912 0.11 0.04 -0.02
C 2.043500 2.089309 -2.077601 0.06 0.00 -0.09
C 0.769927 1.641759 -1.772777 -0.01 -0.05 -0.08
C 0.342338 1.632089 -0.458242 -0.04 0.08 0.06
H -1.772977 -1.775116 -3.230025 0.00 -0.04 -0.12
H -2.769615 -2.762172 -2.145123 -0.02 -0.09 -0.04
H -1.146377 -2.274748 -1.635681 -0.08 -0.05 -0.09
H -3.701967 2.688018 0.660803 0.01 0.09 0.07
H -3.324829 1.404888 1.837516 0.03 0.05 0.02
H -4.916477 1.473432 1.074328 -0.07 0.05 0.04
H -3.666240 -1.562605 1.490832 0.08 -0.12 0.04
H -2.363871 -2.409630 0.594105 -0.15 -0.05 0.04
H 1.451179 -3.086873 -1.894544 -0.07 -0.08 -0.08
H 3.851295 -2.582448 -2.241278 0.05 -0.04 -0.07
H 5.048972 -1.064868 -0.748279 0.09 0.02 -0.01
H 3.914462 0.024624 1.148667 0.07 0.08 0.03
H 0.750013 0.316075 3.484315 0.19 0.00 -0.01
H 2.345000 0.655475 2.772217 -0.11 -0.05 0.06
H -0.347943 1.903821 2.053997 0.02 0.04 0.03
H 1.120553 2.722257 2.615159 -0.05 0.03 0.04
H 3.102281 2.865776 1.035470 0.09 0.04 0.10
H 3.866916 2.898411 -1.302557 0.08 0.03 -0.03
H 2.386219 2.090787 -3.101423 0.03 0.01 -0.09
H 0.107348 1.295712 -2.551861 -0.08 -0.03 -0.08
H -0.651959 1.282569 -0.222028 -0.16 -0.08 0.03


(2)
56
Properties=species:S:1:pos:R:3:forces:R:3 method="wB97M-V/def2-TZVPD" charge=0 mol_weight_g_mol=543.46 e_tot_ha=-3102.00384 orbital_gap_ev="5.822 / 5.823" relative_energy_kj_mol=0.0
Ti 0.439085 -0.011138 1.198281 0.92 -1.56 0.28
N -3.560308 -1.919069 1.954260 -0.03 0.00 -0.06
C -2.470380 -1.204519 1.600080 0.25 0.19 0.15
S -1.135726 -1.201363 2.705358 0.04 0.02 -0.03
N -2.555520 -0.572480 0.448181 -0.16 -0.02 -0.15
N -1.448081 0.134879 0.119827 -0.14 0.32 -0.38
C -1.515235 0.884051 -0.937264 -0.15 -0.42 0.39
C -2.740211 1.008150 -1.769268 0.11 0.05 0.05
C -3.194070 -0.056356 -2.537887 0.03 -0.08 -0.03
C -4.330509 0.081071 -3.317421 -0.02 0.00 -0.02
C -5.029724 1.280656 -3.325005 0.02 0.02 0.02
C -4.585656 2.342245 -2.550972 -0.03 0.02 -0.01
C -3.441632 2.207760 -1.778791 0.01 0.03 0.02
********
Wanted >
Repeat every line further above that contains the word "smiles".
Written answer >
Properties=species:S:1:pos:R:3:forces:R:3 method="wB97M-V/def2-TZVPD" charge=0 mol_weight_g_mol=363.49 smiles=Cc1noc(C)c1CSc1nc2ccccc2n1CCc1ccccc1 e_tot_ha=-1450.53132 orbital_gap_ev=8.562 relative_energy_kj_mol=12.9